A possible solution to the EE outrage.

Discussion in 'Wars' started by Rusted_Knight_of_New_Age, Feb 6, 2014.

  1. First off, Dev, this is player solution to ee, not dev solution. What every you guys and gals are working on to improve EE, continue on doing so.

    First, anyone who looks at my build alone can tell that I do not regularly EE. Anyone who knows me though, knows I love to PvP. So here is my Rusty solution to Fix EE!

    Okay, the devs can only do and adjust so much to counter those that seek to find every single loop hole to advance them self in profit. It is on those who wish to ee for real, fun, close, competitive system EE wars, to take matters into their own hands!

    Are you sick of mismatches, tired of no matches? Are you aggravated with leaderboard players stacking rosters with GH and SH accounts? -Then Do Something about it! This is a WAR game and that doesn't mean system wars only!

What comes next are data records, not part of the entry
Entry 1:
# C5H8IN2

A structure of composition C5H8IN2 in a non-equilibrium geometry (ωB97M-V with the def2-TZVPD basis set, the Open Molecules 2025 dataset).

Atoms and positions in Å:
C1 0.199 0.885 -0.851
C2 0.714 -0.293 -0.697
C3 -1.158 0.819 0.601
C4 0.214 -1.058 0.489
C5 1.850 -0.761 -1.559
N1 -0.940 -0.359 1.152
N2 -1.971 1.735 1.060
I1 -2.092 -1.377 2.596
H1 0.239 1.929 -1.335
H2 -0.041 -2.151 0.174
H3 1.091 -1.006 1.113
H4 1.630 -1.717 -1.987
H5 2.885 -0.690 -1.034
H6 1.947 -0.204 -2.408
H7 -2.016 2.734 0.794
H8 -2.549 1.514 1.892

Output
LUMO = -5.03 eV
Kohn-Sham gap = 8.8 eV
energy above the lowest of the compared OMol25 structures with the same formula, charge and spin = 2.207 eV
total charge = +1
multiplicity = 1
total energy = -602.18247 hartree

=====

Entry 2:
# C9H10BrNO3

An isolated molecule of C9H10BrNO3 in a non-equilibrium geometry (ωB97M-V with the def2-TZVPD basis set, the Open Molecules 2025 dataset).

Atoms and positions in Å:
C1 0.647 0.674 1.298
C2 -0.596 -0.053 0.816
C3 -0.333 -1.490 1.358
C4 0.242 -2.387 0.540
C5 0.915 -1.913 -0.680
C6 0.405 -0.871 -1.242
C7 -0.735 -0.140 -0.725
C8 -0.874 1.233 -1.487
O1 -0.003 1.751 -2.100
C9 -2.218 1.890 -1.380
Br1 -2.141 3.014 0.212
N1 -2.001 -0.981 -1.013
O2 -2.221 -1.111 -2.192
O3 -2.664 -1.500 -0.165
H1 1.406 0.211 0.679
H2 0.746 0.365 2.423
H3 0.381 1.793 1.249
H4 -1.433 0.386 1.355
H5 -0.810 -1.754 2.408
H6 0.380 -3.303 0.933
H7 1.783 -2.380 -1.166
H8 0.810 -0.514 -2.186
H9 -3.074 1.220 -1.136
H10 -2.372 2.424 -2.275

Output
LUMO = -0.08 eV
Kohn-Sham gap = 9.0 eV
structure (SMILES) = C[C@@H]1C=CC=C[C@@]1(C(=O)CBr)[N+](=O)[O-]
energy above the lowest of the compared OMol25 structures with the same formula, charge and spin = 1.255 eV
multiplicity = 1
total energy = -3203.25754 hartree

=====

Entry 3:
# C31H29FN6O7Sm

A structure of composition C31H29FN6O7Sm in a non-equilibrium geometry (ωB97M-V with the def2-TZVPD basis set, the Open Molecules 2025 dataset).

Atoms and positions in Å:
Sm1 0.046 0.090 1.960
C1 1.806 -1.904 2.131
C2 2.562 -0.755 1.804
C3 2.566 0.100 2.929
C4 1.811 -0.516 3.950
C5 1.340 -1.756 3.454
C6 0.590 -2.812 4.206
C7 1.665 -0.008 5.349
C8 3.333 1.384 3.039
C9 3.346 -0.511 0.554
C10 1.591 -3.134 1.303
H1 -0.235 -3.215 3.615
H2 0.166 -2.424 5.134
H3 1.253 -3.644 4.471
H4 1.499 1.071 5.372
H5 2.563 -0.223 5.938
H6 0.819 -0.472 5.860
H7 2.862 2.211 2.497
H8 4.342 1.268 2.634
H9 3.428 1.693 4.083
H10 3.219 0.515 0.199
H11 3.030 -1.179 -0.253
H12 4.416 -0.676 0.719
H13 0.526 -3.354 1.168
H14 2.046 -4.010 1.780
H15 2.039 -3.029 0.310
C11 1.399 1.935 -5.523
C12 -0.052 1.646 -5.160
C13 -0.784 0.833 -6.213
C14 -0.141 -0.541 -6.360
C15 -0.013 -1.214 -5.009
C16 0.106 -2.578 -4.908
C17 0.188 -3.196 -3.662
F1 0.316 -4.533 -3.629
C18 0.125 -2.493 -2.501
C19 0.010 -1.099 -2.575
C20 -0.048 -0.323 -1.333
O1 -0.052 -0.894 -0.235
C21 -0.095 1.105 -1.485
C22 -0.147 1.647 -2.721
N1 -0.124 0.934 -3.865
C23 -0.040 -0.457 -3.818
C24 -0.040 1.994 -0.275
O2 -0.815 2.946 -0.201
End of the data records

    I challenge every single clan that is SICK of the other clans that "exploit" the system to take matters into their own hands!

    -How you say?

    -By bringing matters into your own hands and declaring a real war against them!

    Look, apparently all of the screaming, frustrations, aggravation, and wasted money has only went so far thus far. If all of you truly feel so upset and annoyed with what has been going on, why not team up, track, then strip farm those who you feel is destroying a "Once Amazingly Fun" aspect of the game?

    We our are brothers keeper. The community is what makes this game great. So I challenge the EE community who feel that there are those that are destroying EE, to actually do something about it. Because all your rants are doing are satisfying your own self for a short while and accomplishing nothing.

    Take action in what you believe in or watch what you believe in crumble and fall into despair.
  2. Note: This is me saying to either do something to help change for the better or just roll over and hope the devs are able to make a near impossible solution to fix the exploits.

    You action, from either osw or debates, that is on you. Just do something other than complain. -I understand season 3 is disappointing, but the devs are trying. Just pony up some. Some issues in kaw can be fixed by the kawmmunity.

    Either way, I spoke my mind, take it as you will.
  3. I heard a clan named "EE Exploiters Beware" or something like that is under construction. A thread where kawers will post who the exploiter clans are (with explanation) will likewise be made. Based on the posts, the kawmunity will know what exploiter clan to osw first. 
  4. A positive start.

    My end point is, as a community, as fellow gamers in kaw, to make the game better, if someone is exploiting an aspect of the game you enjoy, why not use the tools given to you already to try and end the abuse?
  5. Sorry dude. Pretty lame. People like the dynamics of EE war. That's why they want to do them. Osw gets boring fast.
  6. RKS isn't saying to stop EE. He's saying maybe the EE community should put pressure on the abusers on their end to help bring positive change to it by way of OSW.
  7. I am not saying stop ee, I am saying do something about the abusers if you feel so offended by what they are doing.

    May have a better out come than crying about it.
  8. OSW is not boring. Its pretty fun especially if its for a good cause. Soon the exploiters will be enjoying it eventually
  9. You could all just not do the EE wars.
    Or better yet, the Devs could just scrap the idea.. :roll: :roll: